### Work order
The reader should retype only the last part of the notes below, starting with the line that has "-0.535".

### Entries
<<<
Entry 1:
The following is a quantum chemistry calculation of a molecular structure, C13H26N6O6Pt at a distorted geometry, from the OMol25 dataset.

Positions of all 52 atoms, in Å:
O (-0.018278, 0.322357, -5.117508)
H (-0.519308, -0.055288, -5.855075)
Pt (0.136659, -0.041915, 0.065506)
N (0.337632, 1.630235, 1.124041)
N (1.525499, 0.925497, -0.957550)
N (-1.107121, -1.083460, 1.236171)
N (-0.198283, -1.685953, -1.012504)
O (-0.306673, 1.808207, 2.228562)
O (-1.391718, -0.734304, 2.535201)
O (0.271301, -1.948678, -2.273583)
O (1.991653, 0.449518, -2.030013)
C (1.948679, 2.116627, -0.452363)
C (1.334831, 2.469818, 0.757582)
C (-1.313651, -2.359588, 0.885316)
C (-0.772459, -2.703343, -0.365990)
C (1.674400, 3.571739, 1.679674)
H (1.960862, 3.212965, 2.686217)
H (0.817696, 4.260009, 1.771818)
H (2.522308, 4.117572, 1.244621)
C (3.073473, 2.777323, -1.144770)
H (2.791115, 3.027804, -2.180579)
H (3.955765, 2.114664, -1.171442)
H (3.326327, 3.693412, -0.595733)
C (-1.995263, -3.315851, 1.783846)
C (-0.815030, -4.068410, -0.943303)
H (-2.642445, -2.804324, 2.509691)
H (-1.276425, -3.962088, 2.322659)
H (-2.602360, -3.988559, 1.154903)
H (-0.031154, -4.230673, -1.697457)
H (-1.804666, -4.250940, -1.397886)
H (-0.702314, -4.807139, -0.130590)
H (-1.155888, 0.241144, 2.599554)
H (0.662446, -1.109960, -2.623265)
C (-0.942289, 0.799472, -4.150499)
H (-0.351978, 1.425542, -3.487549)
H (-1.284099, -0.040052, -3.548776)
H (-1.785679, 1.347562, -4.586408)
O (-2.134887, 1.139805, -0.294914)
H (-2.158288, 0.308576, 0.235664)
H (-1.548641, 1.692827, 0.265840)
C (1.814196, -0.265844, 3.219159)
C (2.344755, -0.966382, 2.034876)
N (1.881361, -0.979823, 0.787540)
C (2.660274, -1.788800, 0.004222)
C (3.665192, -2.260028, 0.791247)
N (3.450099, -1.726890, 2.055555)
H (0.797261, -0.589276, 3.487760)
H (2.480355, -0.477574, 4.067974)
H (1.785976, 0.826001, 3.078651)
H (2.412566, -1.954319, -1.028958)
H (4.481561, -2.904274, 0.522931)
H (3.995752, -1.849441, 2.909935)

Force components x, y, z for each atom (eV/Å):
O -0.211 -0.086 -0.737
H 0.252 0.073 0.306
Pt 0.258 1.514 -0.319
N 1.760 1.123 -0.193
N -0.036 2.347 -0.232
N -0.504 -0.264 -0.110
N -0.062 -0.482 -0.082
O -0.593 -0.059 0.706
O -0.112 0.654 0.757
O 0.375 0.117 -0.856
O 0.246 -0.314 -0.535
C 0.190 -2.498 -1.432
C -2.120 -1.445 1.424
C 0.533 0.168 0.024
C 0.074 0.350 -0.105
C 0.367 0.756 -0.251
H -0.313 0.076 -0.454
H 0.330 -0.248 0.182
H -0.241 0.040 0.346
C 0.246 0.517 0.037
H 0.218 -0.110 0.325
H -0.328 0.237 -0.108
H 0.108 -0.167 -0.368
C -0.403 -0.783 0.029
C -0.452 -0.703 0.029
H 0.293 -0.197 -0.277
H -0.263 0.345 -0.066
H 0.054 0.168 0.416
H -0.359 0.154 0.317
H 0.392 -0.072 -0.054
H 0.021 0.222 -0.392
H 0.001 -0.412 -0.302
H -0.064 -0.308 0.581
C 0.419 -0.254 0.245
H -0.182 0.314 0.044
H -0.457 -0.034 0.107
H 0.180 -0.036 0.128
O 0.270 -0.133 0.645
H -0.629 0.553 -0.417
H -0.862 0.094 -0.363
C 0.000 0.374 0.674
C 0.005 -0.177 -1.348
N 0.452 -0.606 1.426
C 0.347 0.041 0.894
C -0.021 -0.017 -0.178
N 0.598 -0.349 0.459
H 0.361 0.048 -0.238
H -0.225 0.075 -0.145
H -0.052 -0.436 -0.027
H 0.180 -0.008 -0.051
H 0.113 -0.021 0.284
H -0.153 -0.139 -0.747

Results
HOMO level (alpha / beta) in eV: -5.984 / -7.054
Orbital gap (alpha / beta) in eV: 6.3 / 6.6
Energy relative to the best compared isomer or geometry (same formula, charge and spin) in kJ/mol: 0.0
Multiplicity: 3

---

Entry 2:
The following is a quantum chemistry calculation of 2 unconnected molecules or ions with the total composition C2H8OS2 at a distorted geometry, from the OMol25 dataset.

Positions of all 13 atoms, in Å:
C (0.379618, -2.474827, -2.790505)
O (0.368716, -1.063833, -2.482701)
H (0.340709, -3.172512, -1.962255)
H (1.353498, -2.539319, -3.278026)
H (-0.374393, -2.561563, -3.568036)
H (-0.408874, -0.806590, -1.973984)
C (-1.369150, 0.872886, -0.188439)
S (0.325971, 0.961313, 0.446378)
S (0.053972, 0.569299, 2.445918)
H (-1.590313, -0.122285, -0.592517)
H (-2.157241, 1.110884, 0.517695)
H (-1.358886, 1.494295, -1.087172)
>>>

### Written answer
O 0.246 -0.314 -0.535
C 0.190 -2.498 -1.432
C -2.120 -1.445 1.424
C 0.533 0.168 0.024
C 0.074 0.350 -0.105
C 0.367 0.756 -0.251
H -0.313 0.076 -0.454
H 0.330 -0.248 0.182
H -0.241 0.040 0.346
C 0.246 0.517 0.037
H 0.218 -0.110 0.325
H -0.328 0.237 -0.108
H 0.108 -0.167 -0.368
C -0.403 -0.783 0.029
C -0.452 -0.703 0.029
H 0.293 -0.197 -0.277
H -0.263 0.345 -0.066
H 0.054 0.168 0.416
H -0.359 0.154 0.317
H 0.392 -0.072 -0.054
H 0.021 0.222 -0.392
H 0.001 -0.412 -0.302
H -0.064 -0.308 0.581
C 0.419 -0.254 0.245
H -0.182 0.314 0.044
H -0.457 -0.034 0.107
H 0.180 -0.036 0.128
O 0.270 -0.133 0.645
H -0.629 0.553 -0.417
H -0.862 0.094 -0.363
C 0.000 0.374 0.674
C 0.005 -0.177 -1.348
N 0.452 -0.606 1.426
C 0.347 0.041 0.894
C -0.021 -0.017 -0.178
N 0.598 -0.349 0.459
H 0.361 0.048 -0.238
H -0.225 0.075 -0.145
H -0.052 -0.436 -0.027
H 0.180 -0.008 -0.051
H 0.113 -0.021 0.284
H -0.153 -0.139 -0.747

Results
HOMO level (alpha / beta) in eV: -5.984 / -7.054
Orbital gap (alpha / beta) in eV: 6.3 / 6.6
Energy relative to the best compared isomer or geometry (same formula, charge and spin) in kJ/mol: 0.0
Multiplicity: 3

---

Entry 2:
The following is a quantum chemistry calculation of 2 unconnected molecules or ions with the total composition C2H8OS2 at a distorted geometry, from the OMol25 dataset.

Positions of all 13 atoms, in Å:
C (0.379618, -2.474827, -2.790505)
O (0.368716, -1.063833, -2.482701)
H (0.340709, -3.172512, -1.962255)
H (1.353498, -2.539319, -3.278026)
H (-0.374393, -2.561563, -3.568036)
H (-0.408874, -0.806590, -1.973984)
C (-1.369150, 0.872886, -0.188439)
S (0.325971, 0.961313, 0.446378)
S (0.053972, 0.569299, 2.445918)
H (-1.590313, -0.122285, -0.592517)
H (-2.157241, 1.110884, 0.517695)
H (-1.358886, 1.494295, -1.087172)